____________
1.
! NbBW | the Materials Project database | PBE | optimized geometry; values from VASP
&SYSTEM
  ibrav = 0, nat = 3, ntyp = 3
/
ATOMIC_SPECIES
Nb 92.91 Nb.upf
B 10.81 B.upf
W 183.84 W.upf
CELL_PARAMETERS angstrom
0.000 2.950 2.950
2.950 0.000 2.950
2.950 2.950 0.000
ATOMIC_POSITIONS angstrom
Nb 0.000 0.000 0.000
B 4.425 4.425 4.425
W 1.475 1.475 1.475
! calculated total energy = -8.2862 eV per atom
! formation energy = 1.627 eV per atom


2.
! CsKPt6S6O28 | the Materials Project database | PBE | optimized geometry; values from VASP
&SYSTEM
  ibrav = 0, nat = 84, ntyp = 5
/
ATOMIC_SPECIES
Cs 132.91 Cs.upf
K 39.10 K.upf
Pt 195.08 Pt.upf
S 32.06 S.upf
O 16.00 O.upf
CELL_PARAMETERS angstrom
6.089 3.515 9.397
-6.089 3.515 9.397
0.000 -7.031 9.397
ATOMIC_POSITIONS angstrom
Cs 0.000 0.000 2.410
Cs 0.000 0.000 25.781
K 0.000 0.000 8.272
K 0.000 0.000 19.919
Pt -1.547 -1.299 11.709
Pt -2.715 -1.234 15.010
Pt -0.289 -2.969 13.181
Pt -2.427 1.734 13.181
Pt -1.898 0.690 16.482
Pt -0.351 1.989 11.709
Pt 0.351 -1.989 16.482
Pt 1.898 -0.690 11.709
Pt 2.427 -1.734 15.010
Pt 0.289 2.969 15.010
Pt 2.715 1.234 13.181
Pt 1.547 1.299 16.482
S -3.293 -3.622 12.813
S -2.946 1.247 10.148
S -4.784 1.041 15.378
S 0.393 -3.175 10.148
S -2.553 -1.928 18.043
S 1.490 -4.663 15.378
S -1.490 4.663 12.813
S 2.553 1.928 10.148
S -0.393 3.175 18.043
S 4.784 -1.041 12.813
S 2.946 -1.247 18.043
S 3.293 3.622 15.378
O -3.160 -2.577 11.705
O -3.734 -2.958 14.078
O -3.782 1.651 9.056
O -1.916 -4.250 13.026
O -0.035 -2.150 6.406
O -2.710 -0.229 10.169
O -1.845 1.105 6.406
O -4.638 -0.466 15.165
O 0.461 -4.100 9.056
O -0.892 -2.340 10.042
O -3.585 1.679 11.473
O -3.247 -2.265 16.718
O -4.429 1.754 14.113
O 0.338 -3.944 11.473
O -2.392 -0.284 13.249
O -3.320 -2.450 19.135
O -1.580 1.943 10.042
O 0.695 -4.713 14.113
O -3.812 1.448 16.486
O -0.950 -2.214 14.942
O 1.553 -2.232 10.169
O 0.000 0.000 11.449
O -2.722 3.784 13.026
O -2.473 -0.397 18.149
O -1.157 -2.461 18.022
O 1.879 1.045 6.406
O 0.652 -4.025 16.486
O 1.442 -1.930 13.249
O -1.442 1.930 14.942
O -0.652 4.025 11.705
O -1.880 -1.045 21.785
O 1.157 2.461 10.169
O 2.473 0.397 10.042
O 2.722 -3.784 15.165
O 0.000 0.000 16.742
O -1.553 2.232 18.022
O 0.950 2.214 13.249
O 3.812 -1.448 11.705
O -0.695 4.713 14.078
O 1.580 -1.943 18.149
O 3.320 2.450 9.056
O 2.392 0.284 14.942
O -0.338 3.944 16.718
O 4.429 -1.754 14.078
O 3.247 2.265 11.473
O 3.585 -1.679 16.718
O 0.892 2.340 18.149
O -0.461 4.100 19.135
O 4.638 0.466 13.026
O 1.845 -1.105 21.785
O 2.710 0.229 18.022
O 0.035 2.150 21.785
O 1.916 4.250 15.165
O 3.782 -1.651 19.135
O 3.734 2.958 14.113
O 3.160 2.577 16.486
! total energy after the MP2020 corrections = -533.6 eV for the cell shown
! calculated total energy = -5.8943 eV per atom
! formation energy = -1.548 eV per atom


3.
! ThTl3F7 | the Materials Project database | PBE | optimized geometry; values from VASP
&SYSTEM
  ibrav = 0, nat = 44, ntyp = 3
/
ATOMIC_SPECIES
Th 232.04 Th.upf
Tl 204.38 Tl.upf
F 19.00 F.upf
CELL_PARAMETERS angstrom
4.968 -9.673 0.000
4.968 9.673 0.000
0.000 0.000 8.585
ATOMIC_POSITIONS angstrom
Th 4.968 7.576 4.301
Th 4.968 7.576 8.577
Th 4.968 -7.576 0.008
Th 4.968 -7.576 4.284
Tl 2.650 4.691 6.439
Tl 3.060 0.303 6.439
Tl 3.060 -0.303 2.146
Tl 4.968 2.640 0.281
Tl 4.968 2.640 4.011
Tl 7.287 4.691 6.439
Tl 2.650 -4.691 2.146
Tl 4.968 -2.640 4.574
Tl 4.968 -2.640 8.304
Tl 6.877 0.303 6.439
Tl 6.877 -0.303 2.146
Tl 7.287 -4.691 2.146
F 1.250 2.039 2.146
F 4.968 8.673 2.146
F 2.209 2.626 4.756
F 2.209 2.626 8.121
F 1.287 0.000 0.000
F 1.287 0.000 4.292
F 4.968 6.217 2.146
F 4.968 5.370 4.858
F 4.968 5.370 8.019
F 1.250 -2.039 6.439
F 2.209 -2.626 0.464
F 2.209 -2.626 3.829
F 4.968 2.627 6.439
F 4.968 0.000 0.000
F 4.968 0.000 4.292
F 4.968 -2.627 2.146
F 7.728 2.626 4.756
F 7.728 2.626 8.121
F 8.687 2.039 2.146
F 4.968 -5.370 0.566
F 4.968 -5.370 3.727
F 4.968 -6.217 6.439
F 8.650 0.000 0.000
F 8.650 0.000 4.292
F 7.728 -2.626 0.464
F 7.728 -2.626 3.829
F 4.968 -8.673 6.439
____________

What is needed: start at the top of the entries above and copy each line, ending with the one that has "4.011".

1.
! NbBW | the Materials Project database | PBE | optimized geometry; values from VASP
&SYSTEM
  ibrav = 0, nat = 3, ntyp = 3
/
ATOMIC_SPECIES
Nb 92.91 Nb.upf
B 10.81 B.upf
W 183.84 W.upf
CELL_PARAMETERS angstrom
0.000 2.950 2.950
2.950 0.000 2.950
2.950 2.950 0.000
ATOMIC_POSITIONS angstrom
Nb 0.000 0.000 0.000
B 4.425 4.425 4.425
W 1.475 1.475 1.475
! calculated total energy = -8.2862 eV per atom
! formation energy = 1.627 eV per atom


2.
! CsKPt6S6O28 | the Materials Project database | PBE | optimized geometry; values from VASP
&SYSTEM
  ibrav = 0, nat = 84, ntyp = 5
/
ATOMIC_SPECIES
Cs 132.91 Cs.upf
K 39.10 K.upf
Pt 195.08 Pt.upf
S 32.06 S.upf
O 16.00 O.upf
CELL_PARAMETERS angstrom
6.089 3.515 9.397
-6.089 3.515 9.397
0.000 -7.031 9.397
ATOMIC_POSITIONS angstrom
Cs 0.000 0.000 2.410
Cs 0.000 0.000 25.781
K 0.000 0.000 8.272
K 0.000 0.000 19.919
Pt -1.547 -1.299 11.709
Pt -2.715 -1.234 15.010
Pt -0.289 -2.969 13.181
Pt -2.427 1.734 13.181
Pt -1.898 0.690 16.482
Pt -0.351 1.989 11.709
Pt 0.351 -1.989 16.482
Pt 1.898 -0.690 11.709
Pt 2.427 -1.734 15.010
Pt 0.289 2.969 15.010
Pt 2.715 1.234 13.181
Pt 1.547 1.299 16.482
S -3.293 -3.622 12.813
S -2.946 1.247 10.148
S -4.784 1.041 15.378
S 0.393 -3.175 10.148
S -2.553 -1.928 18.043
S 1.490 -4.663 15.378
S -1.490 4.663 12.813
S 2.553 1.928 10.148
S -0.393 3.175 18.043
S 4.784 -1.041 12.813
S 2.946 -1.247 18.043
S 3.293 3.622 15.378
O -3.160 -2.577 11.705
O -3.734 -2.958 14.078
O -3.782 1.651 9.056
O -1.916 -4.250 13.026
O -0.035 -2.150 6.406
O -2.710 -0.229 10.169
O -1.845 1.105 6.406
O -4.638 -0.466 15.165
O 0.461 -4.100 9.056
O -0.892 -2.340 10.042
O -3.585 1.679 11.473
O -3.247 -2.265 16.718
O -4.429 1.754 14.113
O 0.338 -3.944 11.473
O -2.392 -0.284 13.249
O -3.320 -2.450 19.135
O -1.580 1.943 10.042
O 0.695 -4.713 14.113
O -3.812 1.448 16.486
O -0.950 -2.214 14.942
O 1.553 -2.232 10.169
O 0.000 0.000 11.449
O -2.722 3.784 13.026
O -2.473 -0.397 18.149
O -1.157 -2.461 18.022
O 1.879 1.045 6.406
O 0.652 -4.025 16.486
O 1.442 -1.930 13.249
O -1.442 1.930 14.942
O -0.652 4.025 11.705
O -1.880 -1.045 21.785
O 1.157 2.461 10.169
O 2.473 0.397 10.042
O 2.722 -3.784 15.165
O 0.000 0.000 16.742
O -1.553 2.232 18.022
O 0.950 2.214 13.249
O 3.812 -1.448 11.705
O -0.695 4.713 14.078
O 1.580 -1.943 18.149
O 3.320 2.450 9.056
O 2.392 0.284 14.942
O -0.338 3.944 16.718
O 4.429 -1.754 14.078
O 3.247 2.265 11.473
O 3.585 -1.679 16.718
O 0.892 2.340 18.149
O -0.461 4.100 19.135
O 4.638 0.466 13.026
O 1.845 -1.105 21.785
O 2.710 0.229 18.022
O 0.035 2.150 21.785
O 1.916 4.250 15.165
O 3.782 -1.651 19.135
O 3.734 2.958 14.113
O 3.160 2.577 16.486
! total energy after the MP2020 corrections = -533.6 eV for the cell shown
! calculated total energy = -5.8943 eV per atom
! formation energy = -1.548 eV per atom


3.
! ThTl3F7 | the Materials Project database | PBE | optimized geometry; values from VASP
&SYSTEM
  ibrav = 0, nat = 44, ntyp = 3
/
ATOMIC_SPECIES
Th 232.04 Th.upf
Tl 204.38 Tl.upf
F 19.00 F.upf
CELL_PARAMETERS angstrom
4.968 -9.673 0.000
4.968 9.673 0.000
0.000 0.000 8.585
ATOMIC_POSITIONS angstrom
Th 4.968 7.576 4.301
Th 4.968 7.576 8.577
Th 4.968 -7.576 0.008
Th 4.968 -7.576 4.284
Tl 2.650 4.691 6.439
Tl 3.060 0.303 6.439
Tl 3.060 -0.303 2.146
Tl 4.968 2.640 0.281
Tl 4.968 2.640 4.011